Listing:
[1]
DFT (ωB97M-V with the def2-TZVPD basis set) results for a 5-piece molecular cluster, C5H17NO4 overall in a non-equilibrium geometry.

CARTESIAN COORDINATES (ANGSTROEM)
C: -1.23618 0.65114 -1.06934
N: 1.59616 0.65395 -1.32703
C: 0.89227 0.11171 -0.20309
C: -0.40560 0.02794 0.06258
C: -1.08326 -0.73232 1.14938
C: -1.62311 -0.16755 2.21060
H: -1.47843 1.64026 -0.86111
H: -2.23446 0.10008 -1.06906
H: -0.68626 0.42510 -2.06104
H: 0.98622 1.04838 -2.07485
H: 2.10667 1.44889 -1.02207
H: 1.53072 -0.48718 0.61743
H: -1.08774 -1.79326 0.92971
H: -1.73980 0.83448 2.53032
H: -2.26666 -0.90124 2.70852
H: -0.18933 2.81117 1.08792
H: -1.55805 2.65283 1.73080
O: -1.13586 2.93805 0.89720
H: 1.53218 -1.94470 -0.37326
H: 1.82603 -1.28414 -1.82645
O: 1.91536 -2.01137 -1.19509
H: 1.54326 -0.98217 2.34377
H: 0.85556 0.02067 3.18879
O: 1.44425 -0.05643 2.43368
H: -0.50941 -1.75490 -2.61038
H: 0.87365 -1.87375 -3.05883
O: 0.13183 -1.37562 -3.13910

Summary:
Net charge   0
LUMO level   0.015 Ha
Electronic energy   -556.2766 Ha
Gap between HOMO and LUMO   9.0 eV
ΔE to the lowest compared entry with this formula, charge and spin   98.9 kcal/mol
Multiplicity   1

=====

[2]
DFT (ωB97M-V with the def2-TZVPD basis set) results for a 4-piece molecular cluster, C5H17NO5 overall in a non-equilibrium geometry.

CARTESIAN COORDINATES (ANGSTROEM)
O: -0.49768 1.10294 1.95263
C: -0.50601 -0.09583 1.86537
C: -1.17217 -1.02150 0.87327
C: -0.08745 -1.41034 -0.17858
C: 1.19194 -2.13248 0.17151
C: 2.21923 -1.09357 0.78500
O: 1.64284 0.19435 0.49106
N: -2.25058 -0.17652 0.29620
H: -0.06418 -0.62678 2.66658
H: -1.66546 -1.99242 1.11999
H: -0.57596 -1.91077 -1.02291
H: 0.25751 -0.53032 -0.65221
H: 1.17019 -3.02023 0.94406
H: 1.50779 -2.50642 -0.79225
H: 3.26467 -1.26037 0.33749
H: 2.33356 -1.27717 1.95268
H: 1.99641 0.74472 -0.30531
H: -1.95472 0.78128 0.10491
H: -2.90867 -0.63369 -0.32288
H: -1.16777 0.41817 -1.78543
H: -1.35923 1.99223 -2.15281
O: -1.07740 1.13654 -2.48636
H: -1.94920 2.87298 0.37274
H: -0.59477 2.15576 0.77150
O: -1.22013 2.34987 -0.06820
H: 1.13082 1.70671 -2.40540
H: 0.77954 2.37747 -1.02692
O: 1.55689 1.85539 -1.50570

Summary:
Net charge   0
LUMO level   0.022 Ha
Electronic energy   -631.5672 Ha
Gap between HOMO and LUMO   9.5 eV
ΔE to the lowest compared entry with this formula, charge and spin   81.8 kcal/mol
Multiplicity   1

=====

[3]
DFT (ωB97M-V with the def2-TZVPD basis set) results for a 4-piece molecular cluster, C5H18N2O4 overall in a non-equilibrium geometry.

CARTESIAN COORDINATES (ANGSTROEM)
C: 0.89581 -1.79862 -0.13231
N: 0.61503 -0.50622 0.08444
C: 1.72062 0.42298 0.06854
C: 2.49360 0.48283 -1.25047
C: -0.74305 -0.02668 -0.02329
C: -1.16643 0.33397 -1.45106
N: -2.41736 1.11692 -1.32344
O: 0.03837 -2.65760 -0.28385
H: 1.96792 -2.05149 -0.14789
H: 2.38147 0.20831 0.90500
H: 1.31197 1.41904 0.23610
H: 2.86659 -0.49655 -1.57073
H: 3.45459 0.99524 -1.11928
H: 1.85930 0.96250 -1.96669
H: -1.39523 -0.81861 0.30906
H: -0.89450 0.81654 0.63854
H: -0.33401 0.89164 -1.86084
H: -1.22685 -0.58109 -2.04392
H: -2.99172 0.54258 -0.74270
H: -2.83167 1.22586 -2.23132
Exercise:
It remains to give back the notes earlier on exactly.
Done:
[1]
DFT (ωB97M-V with the def2-TZVPD basis set) results for a 5-piece molecular cluster, C5H17NO4 overall in a non-equilibrium geometry.

CARTESIAN COORDINATES (ANGSTROEM)
C: -1.23618 0.65114 -1.06934
N: 1.59616 0.65395 -1.32703
C: 0.89227 0.11171 -0.20309
C: -0.40560 0.02794 0.06258
C: -1.08326 -0.73232 1.14938
C: -1.62311 -0.16755 2.21060
H: -1.47843 1.64026 -0.86111
H: -2.23446 0.10008 -1.06906
H: -0.68626 0.42510 -2.06104
H: 0.98622 1.04838 -2.07485
H: 2.10667 1.44889 -1.02207
H: 1.53072 -0.48718 0.61743
H: -1.08774 -1.79326 0.92971
H: -1.73980 0.83448 2.53032
H: -2.26666 -0.90124 2.70852
H: -0.18933 2.81117 1.08792
H: -1.55805 2.65283 1.73080
O: -1.13586 2.93805 0.89720
H: 1.53218 -1.94470 -0.37326
H: 1.82603 -1.28414 -1.82645
O: 1.91536 -2.01137 -1.19509
H: 1.54326 -0.98217 2.34377
H: 0.85556 0.02067 3.18879
O: 1.44425 -0.05643 2.43368
H: -0.50941 -1.75490 -2.61038
H: 0.87365 -1.87375 -3.05883
O: 0.13183 -1.37562 -3.13910

Summary:
Net charge   0
LUMO level   0.015 Ha
Electronic energy   -556.2766 Ha
Gap between HOMO and LUMO   9.0 eV
ΔE to the lowest compared entry with this formula, charge and spin   98.9 kcal/mol
Multiplicity   1

=====

[2]
DFT (ωB97M-V with the def2-TZVPD basis set) results for a 4-piece molecular cluster, C5H17NO5 overall in a non-equilibrium geometry.

CARTESIAN COORDINATES (ANGSTROEM)
O: -0.49768 1.10294 1.95263
C: -0.50601 -0.09583 1.86537
C: -1.17217 -1.02150 0.87327
C: -0.08745 -1.41034 -0.17858
C: 1.19194 -2.13248 0.17151
C: 2.21923 -1.09357 0.78500
O: 1.64284 0.19435 0.49106
N: -2.25058 -0.17652 0.29620
H: -0.06418 -0.62678 2.66658
H: -1.66546 -1.99242 1.11999
H: -0.57596 -1.91077 -1.02291
H: 0.25751 -0.53032 -0.65221
H: 1.17019 -3.02023 0.94406
H: 1.50779 -2.50642 -0.79225
H: 3.26467 -1.26037 0.33749
H: 2.33356 -1.27717 1.95268
H: 1.99641 0.74472 -0.30531
H: -1.95472 0.78128 0.10491
H: -2.90867 -0.63369 -0.32288
H: -1.16777 0.41817 -1.78543
H: -1.35923 1.99223 -2.15281
O: -1.07740 1.13654 -2.48636
H: -1.94920 2.87298 0.37274
H: -0.59477 2.15576 0.77150
O: -1.22013 2.34987 -0.06820
H: 1.13082 1.70671 -2.40540
H: 0.77954 2.37747 -1.02692
O: 1.55689 1.85539 -1.50570

Summary:
Net charge   0
LUMO level   0.022 Ha
Electronic energy   -631.5672 Ha
Gap between HOMO and LUMO   9.5 eV
ΔE to the lowest compared entry with this formula, charge and spin   81.8 kcal/mol
Multiplicity   1

=====

[3]
DFT (ωB97M-V with the def2-TZVPD basis set) results for a 4-piece molecular cluster, C5H18N2O4 overall in a non-equilibrium geometry.

CARTESIAN COORDINATES (ANGSTROEM)
C: 0.89581 -1.79862 -0.13231
N: 0.61503 -0.50622 0.08444
C: 1.72062 0.42298 0.06854
C: 2.49360 0.48283 -1.25047
C: -0.74305 -0.02668 -0.02329
C: -1.16643 0.33397 -1.45106
N: -2.41736 1.11692 -1.32344
O: 0.03837 -2.65760 -0.28385
H: 1.96792 -2.05149 -0.14789
H: 2.38147 0.20831 0.90500
H: 1.31197 1.41904 0.23610
H: 2.86659 -0.49655 -1.57073
H: 3.45459 0.99524 -1.11928
H: 1.85930 0.96250 -1.96669
H: -1.39523 -0.81861 0.30906
H: -0.89450 0.81654 0.63854
H: -0.33401 0.89164 -1.86084
H: -1.22685 -0.58109 -2.04392
H: -2.99172 0.54258 -0.74270
H: -2.83167 1.22586 -2.23132